I have been seeing such great things on this wide web of ours that i thought i would share some of my favourite ones with you.
As we are getting closer to Christmas lets start with these first
# How about some word cards
# I have also been thinking about doing a Christmas quilt with this pattern.
# One day when i have children i am so going to be making an advent in a box!
And how about these cute sewing projects
# A funky grocery bag dispenser
# And these tea towels would make a wonderful gift
# The best head band ever
# And then how about these sweet little hair curlers. My gran used to have some that she used to use when we were younger.
# How about a reversible sewing machine cover
# Some cute owls - i have so many different ideas for these babies
# And as we are having some new baby additions soon how about these cloth shoes
# I forgot to add this cute Bagsket Tutorial
This gratitude journal is a great idea for next year and i have actually made a start on it. I decided to make one as a Christmas gift so this morning i started making 2.
And how about this snuggly neck warmer or these really funky hats
These past few days i have been wanting to do more paintings and art journaling but for some reason i have spent more time art journal surfing than art journal painting. There are some really good blogs and sites around - you can see a few of them on my sidebar - but this one in particular is one that i have really been enjoying.
OK, so i know that today's post has been a little higgalde piggaldy but i just need to vent one little frustration that i have been experiencing for the past few days. Paypal have decided that they need me to verify my bank account with them so they have put a block on me sending payments through paypal until this has been done. Just great! It is going to take between 3 - 5 days to sort out but do they not realise that its coming up to Christmas and it just so happens that i have won and bought several items which i now can not pay for ...arghh. So frustrating!!
On that note i will leave you with this quote that i found while blog surfing:
Wednesday, November 28, 2007
Linkage Love
Monday, November 26, 2007
Its finally started
I feel like i am actually on a journey. Its a little weird because i have been feeling like i have been standing still for sooo long now. Its nice to know that i am starting to move forward. Part of me feels anxious - the other part feels peaceful. It probably sounds a little contradictory but that is how I am feeling at the moment. I feel like some big changes are commig my way. Im not sure if they will feel like good changes at the time but i have a peace about them. Im not making much sense am I?
Thursday, November 22, 2007
Proverbs 31 - Faith
This is the first of many canvases to come. I had so much fun with this one that i am planning on doing a whole series of them. The theme will be around the Proverbs 31 woman and my head is just spinning with cool ideas for them.
It took me 3 days to do this one. I tried so many different techniques with it and i now know which ones i will be trying again and which ones i wont. I used acrylic paints, made my own backing paper, used old stamps and some stickers, rub-ons, watercolour pencils, chalk, sandpapering and even some dabbing on the wet paint. LOVE IT!
Here are some close ups.... I must admit that i am very surprised at how well the rub-ons stuck to the paint and the canvas. I also ran out of T's but thought that a 7 would work just as well. This is a close up of her face. Now face's are not my most favourite part but i can honestly say i am pleased with how she turned out. Her chin is a little too pointy and her neck went a bit wobbly but her nose turned out great and her hair looks good as well.
Wednesday, November 21, 2007
Giving thanks
First off i just want to share this recipe with you. I am sure that a lot of you already have it, or at least something similar but for my non US friends this is definitely a very nice recipe to try.
Original recipe yields: 5 servings but i just scaled it down for the two of us at our home.
3 medium sized sweet potato, peeled and cubed
1 tablespoons orange juice
1.5 tablespoons brown sugar
Sprinkle of ground nutmeg and cinnamon
1 tablespoons butter
Preheat oven to 350 degrees F (175 degrees C).
+++
Diffraction record for LiNi2O4. The powder XRD pattern is calculated, not measured: it uses a structure optimized by DFT (GGA+U) and Cu Kα, 1.54184 Å.
Kinematic intensities with the Lorentz-polarization factor, no thermal factor.

Structure:
```
data_LiNi2O4
_cell_length_a 8.113
_cell_length_b 8.113
_cell_length_c 8.113
_cell_angle_alpha 90.00
_cell_angle_beta 90.00
_cell_angle_gamma 90.00
_space_group_name_H-M_alt 'P 43 3 2'
_space_group_IT_number 212
_space_group_name_Hall 'P 4acd 2ab 3'
loop_
_atom_site_label
_atom_site_fract_x
_atom_site_fract_y
_atom_site_fract_z
Li1 0.005 0.005 0.005
Ni1 0.116 0.134 0.625
Ni2 0.125 0.875 0.375
O1 0.096 0.127 0.394
O2 0.117 0.617 0.883
```

The 10 most intense peaks (5 to 70 degrees two-theta), low angle first:
d 5.737, intensity 2; d 4.684, intensity 100; d 2.446, intensity 48; d 2.342, intensity 15; d 2.028, intensity 50; d 1.968, intensity 2; d 1.861, intensity 11; d 1.561, intensity 19; d 1.434, intensity 29; d 1.371, intensity 14


Structure and simulated powder diffractogram of Cs2Sm2SbO6 (a GGA-PBE-relaxed structure; CuKα).

Peak list (10 most intense, 10° ≤ 2θ ≤ 80°, low angle first)
Position (°2θ)  I_rel
12.53  47
25.21  77
30.20  41
30.52  85
33.74  100
34.04  50
44.82  18
45.52  37
51.71  40
52.32  26

```
Cs2Sm2SbO6
1.0
3.067 -5.284 0.000
3.067 5.284 0.000
-1.921 0.000 7.065
Cs Sm Sb O
2 2 1 6
direct
0.166 0.834 0.000 Cs
0.834 0.166 0.000 Cs
0.335 0.665 0.500 Sm
0.665 0.335 0.500 Sm
0.000 0.000 0.500 Sb
0.046 0.362 0.657 O
0.257 0.257 0.342 O
0.362 0.046 0.657 O
0.638 0.954 0.343 O
0.743 0.743 0.658 O
0.954 0.638 0.343 O
```

=====

Structure and simulated powder diffractogram of BaHfAg2Te4 (a GGA-PBE-relaxed structure; CuKα).

Peak list (10 most intense, 10° ≤ 2θ ≤ 80°, low angle first)
Position (°2θ)  I_rel
14.29  41
25.33  100
26.25  30
28.81  27
31.39  24
32.40  74
38.52  18
39.58  30
42.93  35
43.47  25

```
BaHfAg2Te4
1.0
7.305 0.000 0.000
0.000 8.452 0.000
0.000 0.000 9.115
Ba Hf Ag Te
2 2 4 8
direct
0.000 0.000 0.000 Ba
0.500 0.500 0.500 Ba
0.000 0.000 0.500 Hf
0.500 0.500 0.000 Hf
0.000 0.500 0.158 Ag
0.000 0.500 0.842 Ag
0.500 0.000 0.342 Ag
0.500 0.000 0.658 Ag
0.205 0.196 0.323 Te
0.205 0.804 0.677 Te
0.295 0.304 0.823 Te
0.295 0.696 0.177 Te
0.705 0.304 0.177 Te
0.705 0.696 0.823 Te
0.795 0.196 0.677 Te
0.795 0.804 0.323 Te
```

=====

Structure and simulated powder diffractogram of Tl4CdIn2Bi2 (a GGA-PBE-relaxed structure; CuKα).

Peak list (10 most intense, 10° ≤ 2θ ≤ 80°, low angle first)
Position (°2θ)  I_rel
27.38  56
28.60  73
29.32  90
29.89  48
32.12  48
33.75  69
35.11  100
36.82  46
36.94  47
37.93  58

```
Tl4CdIn2Bi2
1.0
6.444 0.000 0.000
1.632 6.574 0.000
1.872 1.157 6.695
Tl Cd In Bi
4 1 2 2
direct
0.178 0.193 0.366 Tl
0.288 0.091 0.839 Tl
0.712 0.909 0.161 Tl
0.822 0.807 0.634 Tl
0.000 0.500 0.000 Cd
0.359 0.660 0.674 In
0.641 0.340 0.326 In
0.255 0.713 0.244 Bi
0.745 0.287 0.756 Bi
```

=====
+++
In a large saucepan cook sweet potatoes in salted water over medium-high heat for about 20 minutes, or until done.
Bake in preheated oven for about 10 minutes, or until marshmallows are golden brown
Tuesday, November 20, 2007
Because OH asked so nicely
Monday, November 19, 2007
It has taken me two weeks to read this book. This weekend i finished it and i love it. My mom lent me her copy but i am definitely going to have to get my own. This story is beautiful, heartwarming and so inspiring. If you get a chance i would definitely recommend it.
This weekend i got some time to paint. I am currently working on a canvas and hope to have it finished by the end of the week to show you guys. This little piece is going to sit in the stairway. I have the picture of what i want in my head but it will probably change as i work on it more and more. I have started to finish some of my old acrylic paints and so a few weeks back i picked up some new ones from Tescos. I must admit that i love them and the next time i need some more i will be getting these rather than the old ones. My only complaint is that there are only basic colours in the set but on the flip side to that, because of this, i have been experimenting with mixing my own colour and creating my own shades which have made the journey even more fun and rewarding.
In between waiting for the different paint layers to dry i decided to work on this. My first quilt pin cushion. I used scraps from my first quilt and used the stuffing from an old cushion. I sorted through my button collection and found the perfect green button to go in the centre. It took me about 30 minutes to complete her and i am so pleased with how she turned out. I might even make one for my mom at some point.
Sunday night i spent some time looking through GodTube. It is very similar to You tube except you can find things related to God, Christian music, parts of sermons and much much more. While having a look around i found some music videos by Coffey Anderson. This guys is amazing! If you have some time make sure to listen to his other stuff - well worth it.
Friday, November 16, 2007
FO: Child's Placket Sweater
It feels like it has been ages since i last finished a knitted project. Perhaps that's because i have several on the go at once instead of just concentrating on one at a time. This little guy took me about 3 weeks on and off. Name: Child's Placket Sweater
Pattern: Can be found here for free - Thank you purlsoho
Yarn: Chubby Baby Yarn in blue, less than 100g
Notes: I am still a new knitter and i found this pattern a little confusing at first. It is knitting in the round and this is the first time that i have knitted a sweater using the method that the pattern calls for. Once I found some alone time I managed to get my head around it. When I think about it, it probably wasn’t as difficult as I thought it was but I guess that is the fun of learning something new.
Overall: I must admit that I feel a little disappointed with this FO. Not in anyway because of the pattern but because of my level of skill. Take a look at the photos below.
Yup - those are big ugly ladders that you can see. Luckily, it has happened on both arms so OH says it looks like its part of the pattern. I so appreciated his kindness and thoughtfulness because I can not tell you how close I was getting my scissors out and just cutting it into a hundred insy winsy pieces.
While knitting with my dpns I tried so hard to make sure that I pulled that first stitch so very tightly but alas it looks like I wasn’t doing as well as I thought I was. I don’t just have that one ladder on each arm - I have three! One on the front, one on the back and one on inside of the sleeve.
Perhaps it just comes down to practice but if anyone has any tips for me I would greatly appreciate it.
This week has had its sad moments for me. One of my friends at work lost someone very close to her and so was off work for four days. I made this card for her just to let her know that she was in my thoughts.
Then today, my best friend in the office is leaving us. She is going to stay home until the end of January, how lucky is she, and then she will be finding a new job. Saying goodbye is so hard but at the same time I am so happy for her and just wish her all the best of luck.
This weekend we are hoping to get a way for a day or two. We will probably go up north and visit some Christmas markets and some new places. I hope that we can find somewhere out in the country side to visit but I am sure that whatever we do, it will be good.
Hope that everyone has a great weekend and see you all on Monday.
Tuesday, November 13, 2007
I've learned
I have learned that art is a very personal thing
I have learned that trying new things can be both extremely scary as well as immensely rewarding
I have learned that having fun is more important than having a perfect drawing
I have learned that getting inspiration from someone else and using it is NOT cheating
I have learned that if you never try new things you will never know what you can really do
I have been stretching myself these past few weeks. I have been trying new things - loving some while hating others. That is OK.
I have been doing things that have felt good. I have been mixing paints to make my own shades of colours, i have been painting with sponges and even with my fingers. I love that i can try all these things and come out of it feeling better in myself. Art is a very personal thing.I was reading Donna's blog last week and came across this post of hers. My post is very much along the same lines as hers and it is because of her entry that I found both my inspiration for my art piece as well as Kelly Rae Roberts site. Kelly's site is so inspiring and it has helped my mind explode with all sorts of new ideas and things that I would like to try.
So today I sit here and I say thank you. Thank you to Kelly for inspiring Donna. Thank you Donna for inspiring me and thank you Lord for this passion that you have blessed me with.
Monday, November 12, 2007
A good weekend
So what sort of weekend did you have? A good one i hope! Mine was very nice. Normally they seem to fly by without much worry for my wants and needs but not this weekend. This weekend i managed to get so much done. I went shopping and bought some new acrylic paints, i found some time to finish off this art journal entry
as well as start and finish this entry....
This was last weeks prompt from Suzie. This included some paint and a lot of collage and glue. I had so much fun with the glue….lol
After I had had enough art time I sat down and watched this
And this
And got some much needed knitting time in. As of right now I only have one more row to knit and then I can cast off, block it and then sew up the seams. I am hoping to have it ready to show you all by Wednesday.
My gran has been gone for a week already and I wanted her to come home to a nice little mail treat. So last night I put together this little card for her. Card making is not my normal choice of artwork but it was nice to try something a little different. Inside the pouch is a photo of my self, my brother and my gran and on the back is a little message from me. I hope that it gets to her safely and that it makes her smile.
I am just finishing up work and then heading off to see the doctors. Tonight i hope to finish knitting the baby item and get some more reading time in.
Thursday, November 08, 2007
Tea, Books and Birthdays
Today is my dad's birthday - Happy Birthday dad! I hope that you have a wonderful day and that the year ahead is full of happiness and blessings. I love you.
A few posts ago i mentioned that i am going off of tea....well, one of the ladies that i work with brought these in for me to try yesterday.
This was so sweet of her. Now i can try some before having to go out and buy entire box fulls. While sorting out my cupboards this weekend i also come across a box of Strawberry and Mango teabags. Hmm, they were rather nice as well.
Theoretical X-ray diffraction stick pattern
Compound: Tb3Nd7In
Radiation: Cu Kα (weighted mean of Kα1 and Kα2)
Structure: a PBE-relaxed structure

```
data_Tb3Nd7In
_chemical_formula_sum 'Tb3 Nd7 In1'
_cell_length_a 7.1197
_cell_length_b 7.1197
_cell_length_c 8.6541
_cell_angle_alpha 90.00
_cell_angle_beta 90.00
_cell_angle_gamma 120.00
_space_group_name_H-M_alt 'P 3 m 1'
_space_group_IT_number 156
loop_
_space_group_symop_operation_xyz
'x,y,z'
'-y,x-y,z'
'-x+y,-x,z'
'-y,-x,z'
'-x+y,y,z'
'x,x-y,z'
loop_
_atom_site_label
_atom_site_fract_x
_atom_site_fract_y
_atom_site_fract_z
Tb1 0.9999 0.5000 0.0000
Nd1 0.1690 0.3380 0.6613
Nd2 0.3377 0.1688 0.3302
Nd3 0.6667 0.3333 0.6702
In1 0.3333 0.6667 0.3214
```

Principal peaks in the range 10 to 90 degrees two-theta, in order of rising 2θ:
- 30.79 deg, d 2.904, I = 100.0, hkl 2 0 1
- 31.00 deg, d 2.885, I = 32.5, hkl 0 0 3
- 35.76 deg, d 2.511, I = 66.8, hkl 0 2 2
- 51.33 deg, d 1.780, I = 23.8, hkl 2 2 0
- 51.61 deg, d 1.771, I = 23.4, hkl 2 0 4
- 61.06 deg, d 1.518, I = 14.1, hkl 0 4 1
- 61.19 deg, d 1.515, I = 27.8, hkl 2 2 3
- 61.43 deg, d 1.509, I = 13.7, hkl 0 2 5
- 64.13 deg, d 1.452, I = 12.1, hkl 4 0 2
- 83.76 deg, d 1.155, I = 11.6, hkl 4 2 1

Theoretical X-ray diffraction stick pattern
Compound: Tb12Nd7In
Radiation: Cu Kα (weighted mean of Kα1 and Kα2)
Structure: a PBE-relaxed structure

```
data_Tb12Nd7In
_chemical_formula_sum 'Tb36 Nd21 In3'
_cell_length_a 12.3437
_cell_length_b 12.3437
_cell_length_c 15.4782
_cell_angle_alpha 90.00
_cell_angle_beta 90.00
_cell_angle_gamma 120.00
_space_group_name_H-M_alt 'R -3'
_space_group_IT_number 148
_space_group_name_Hall '-R 3'
loop_
_atom_site_label
_atom_site_fract_x
_atom_site_fract_y
_atom_site_fract_z
Tb1 0.0323 0.1863 0.3092
Tb2 0.0701 0.8116 0.9245
Nd1 0.0000 0.0000 0.5000
Nd2 0.0105 0.4330 0.2017
In1 0.0000 0.0000 0.0000
```

Principal peaks in the range 10 to 90 degrees two-theta, in order of rising 2θ:
- 30.05 deg, d 2.973, I = 29.2, hkl 0 1 5
- 30.49 deg, d 2.932, I = 27.6, hkl 0 3 3
- 30.70 deg, d 2.912, I = 100.0, hkl 4 -3 1
- 32.03 deg, d 2.795, I = 69.0, hkl 3 -1 4
- 32.34 deg, d 2.769, I = 46.4, hkl 3 1 2
- 33.45 deg, d 2.679, I = 25.4, hkl 2 0 5
- 38.55 deg, d 2.335, I = 12.0, hkl 2 3 2
- 52.43 deg, d 1.745, I = 12.9, hkl 3 -2 8
- 52.92 deg, d 1.730, I = 16.7, hkl 1 4 6
- 53.50 deg, d 1.713, I = 19.4, hkl 2 5 0

Theoretical X-ray diffraction stick pattern
Compound: Tb4Nd4In
Radiation: Cu Kα (weighted mean of Kα1 and Kα2)
Structure: a PBE-relaxed structure

```
data_Tb4Nd4In
_chemical_formula_sum 'Tb8 Nd8 In2'
_cell_length_a 10.7987
_cell_length_b 10.7987
_cell_length_c 4.9702
_cell_angle_alpha 90.00
_cell_angle_beta 90.00
_cell_angle_gamma 90.00
_space_group_name_H-M_alt 'I 4/m m m'
_space_group_IT_number 139
_space_group_name_Hall '-I 4 2'
loop_
_atom_site_label
_atom_site_fract_x
_atom_site_fract_y
_atom_site_fract_z
Tb1 0.0000 0.3352 0.0000
Nd1 0.1613 0.1613 0.5000
In1 0.0000 0.0000 0.0000
```
The page goes on:
Ever since i was a little girl i have always been a lover of books. I remember getting awards regularly in school for the most books read. Today, some seventeen odd years on from Primary school and i still love books. They fascinate me. They draw me in. For the past few months i haven't really found a book that grabs my attention but all this changed on Monday evening. My mom lent me her book to take on the bus down to London. What a great book so far! I have been reading in my lunch break, before i go to bed, even in the bath last night - i just can not put this book down.
Tuesday, November 06, 2007
I have been thinking really hard about putting my art journal up on my blog. Some of the pages are very personal to me and others i don't mind sharing so much. So what i thought i would do if just share those that i want to.
Now before i show these two pages i want to just let you know that if you don't like them then you are totally within your right not to. Art is different for everyone and this is my art, for me, right now. I am having fun, expressing myself and challenging myself to try different things. To step outside of my normal box and to do things that i might have tried if i was the five year old me. Be true to who you are
For this page i used acrylic paint, rub ons, stickers, paper and collage techniques. I really had fun with this one as it was the first time in a long time that i had mixed my paints to make the exact colour that i was after in my head - loved it!
Good Bye This was the very first page that i did in my art journal. Again a very personal page but this one i don't mind sharing. I used acrylic paint, masking tape and my journal pen.
Tomorrow i am hoping to have some photos up of some of my knitting projects that i have going on at the moment. I seem to have 3 UFO's and at least another 2 projects that i am just itching to get on my needles...lol.
Have a good day today
Friday, November 02, 2007
Whats going on....
I seem to have a lot of different things going on at the moment and i thought i would take some time to share them with you as well as make a note of them for myself for the future.
*I would like to wish Adrienne a happy birthday for today! Hope you have a wonderful day.
*On Monday i am off to London to go see the embassy. It is way too expensive to catch the train down to London so i am going to have to go by bus. A three hour journey there and a 3 hour journey back. A long time! I am hoping to get at least one knitting project finished and possibly a second.
*My new car is working fantastically and i am really enjoying driving her around.
*We also bought a new DH ready flat screen television on Wednesday night. We have been borrowing a family members TV for months now so thought we had better get our own and give them theirs back.
*Last night we met up with my family and my gran and we had a lovely meal at the Hobby Horse Pub.
*Over the next month i will be spending so much time on this Handmade Holidays Tutorial site by Sew Mama Sew. It looks fantastic.
*Stu's engine in his motorbike has got some problems. We have found a new engine for the bike and if all goes well we should be picking it up this weekend.
*I have not been doing any scrapping lately but i have been doing a lot of work in my art journal. I will get some photos posted some time this weekend. If you are looking for something fine to try your hand it have a look at Suzi's site, D'blogala's site and doc.u.menting site. Your art doesn't have to beautiful to anyone else except to you so don't what others say or what that critical voice inside of us put you off trying this.
* I have only recently found the creative organizing blog but i can not wait to get my teeth stuck into it a little more.
*I seem to be going off of tea for some reason. I am not sure why or what i am going to drink if i keep going the way i am but my daily cups of tea just aren't doing it for me anymore.
* I love Greys Anatomy
* We have made no further plans on the wedding front
* I am really missing my old friends lately
**Records of crystals, kept here for reference**
Record 1
Computed powder XRD pattern
Compound: Ba3NaTl2O6
Radiation: Cu Kα (weighted mean of Kα1 and Kα2)
Structure: a crystal structure in Alexandria, relaxed with GGA-PBE
Kinematic intensities with the Lorentz-polarization factor, no thermal factor.

Largest 6 diffraction maxima, in order of falling intensity, 2θ = 15–90°:
- 27.84 deg, intensity 100
- 30.52 deg, intensity 82
- 41.78 deg, intensity 45
- 50.96 deg, intensity 40
- 49.26 deg, intensity 21
- 66.53 deg, intensity 18

Atomic structure:
Cell: 6.408 6.408 6.898 Å, 90.00 90.00 120.00°
Sites, in units of the cell vectors:
Ba: 0.000 0.000 0.000
Ba: 0.333 0.667 0.607
Ba: 0.667 0.333 0.393
Na: 0.000 0.000 0.500
Tl: 0.333 0.667 0.131
Tl: 0.667 0.333 0.869
O: 0.169 0.338 0.295
O: 0.169 0.831 0.295
O: 0.338 0.169 0.705
O: 0.662 0.831 0.295
O: 0.831 0.169 0.705
O: 0.831 0.662 0.705


Record 2
Computed powder XRD pattern
Compound: PdPb4Au
Radiation: Cu Kα (weighted mean of Kα1 and Kα2)
Structure: a crystal structure in Alexandria, relaxed with GGA-PBE
Kinematic intensities with the Lorentz-polarization factor, no thermal factor.

Largest 6 diffraction maxima, in order of falling intensity, 2θ = 15–90°:
- 31.65 deg, intensity 100
- 39.54 deg, intensity 68
- 35.26 deg, intensity 38
- 63.20 deg, intensity 22
- 54.88 deg, intensity 22
- 54.74 deg, intensity 17

Atomic structure:
Cell: 5.885 5.885 5.885 Å, 104.40 104.40 120.18°
Sites, in units of the cell vectors:
Pd: 0.000 0.000 0.000
Pb: 0.089 0.589 0.179
Pb: 0.411 0.911 0.821
Pb: 0.589 0.411 0.500
Pb: 0.911 0.089 0.500
Au: 0.500 0.500 0.000


Record 3
Computed powder XRD pattern
Compound: Pu3Ga11
Radiation: Cu Kα (weighted mean of Kα1 and Kα2)
Structure: a crystal structure in Alexandria, relaxed with GGA-PBE
Kinematic intensities with the Lorentz-polarization factor, no thermal factor.

Largest 6 diffraction maxima, in order of falling intensity, 2θ = 15–90°:
- 34.81 deg, intensity 100
- 42.25 deg, intensity 31
- 33.98 deg, intensity 30
- 34.20 deg, intensity 26
- 29.76 deg, intensity 22
- 22.58 deg, intensity 19

Atomic structure:
Cell: 8.351 8.351 8.351 Å, 150.31 106.01 81.69°
Sites, in units of the cell vectors:
Pu: 0.000 0.000 0.000
Pu: 0.317 0.317 0.000
Pu: 0.683 0.683 0.000
Ga: 0.035 0.660 0.375
Ga: 0.126 0.854 0.273
Ga: 0.285 0.660 0.625
Ga: 0.292 0.500 0.792
Ga: 0.419 0.146 0.273
Ga: 0.500 0.000 0.500
Ga: 0.581 0.854 0.727
Ga: 0.708 0.500 0.208
Ga: 0.715 0.340 0.375
Ga: 0.874 0.146 0.727
Ga: 0.965 0.340 0.625


Record 4
Computed powder XRD pattern
Compound: CsCaTbF6
Radiation: Cu Kα (weighted mean of Kα1 and Kα2)
Structure: a crystal structure in Alexandria, relaxed with GGA-PBE
Kinematic intensities with the Lorentz-polarization factor, no thermal factor.

Largest 6 diffraction maxima, in order of falling intensity, 2θ = 15–90°:
- 24.95 deg, intensity 100
- 26.45 deg, intensity 36
- 40.10 deg, intensity 22
- 43.40 deg, intensity 19
- 21.69 deg, intensity 18
- 51.06 deg, intensity 13

Atomic structure:
**The article goes on**
Have a great weekend everyone and keep safe.